The Oban Times, 2 April, 1910
The text is interrupted by quantum chemistry results
/*
This record from the OMol25 dataset describes a cluster of 12 separate species, C40H112N8O16 in total at a distorted geometry. The level of theory is ωB97M-V/def2-TZVPD.

Output
orbital gap: 9.35 eV
strongest force on any atom: 2.770 eV/Å
2S+1: 1
SMILES: COC[C@H](C)N.COC[C@H](C)N.COC[C@H](C)N.COC[C@H](C)N.COC[C@H](C)N.COC[C@H](C)N.COC[C@H](C)N.COC[C@H](C)N.OCCO.OCCO.OCCO.OCCO

XYZ file:
```
176
Properties=species:S:1:pos:R:3:forces:R:3:mulliken_charge:R:1
C 4.75757 3.15805 -1.52877 -1.2 0.3 1.8 -0.702
C 5.81673 2.18572 -1.94318 0.2 -1.0 -1.2 0.127
O 6.17190 1.25549 -0.94261 0.1 0.6 0.5 -0.530
O 3.51398 2.48573 -1.18340 0.3 0.1 -0.7 -0.112
H 4.53433 3.98750 -2.20112 0.4 -0.3 -0.5 0.433
H 4.96800 3.65694 -0.57749 0.7 -0.1 -0.1 0.320
H 6.69606 2.67702 -2.37483 0.1 0.3 0.4 0.280
H 5.44566 1.58693 -2.78790 -0.4 0.3 -0.2 -0.235
H 6.05512 0.35698 -1.29114 -0.1 -0.1 0.2 0.473
H 2.93689 2.56910 -1.94911 -0.1 -0.2 0.1 -0.110
C 3.95764 0.16048 2.72593 -0.5 -1.8 -0.6 1.956
C 5.09471 -0.53741 1.97698 1.0 1.8 0.1 -0.879
O 6.00354 -1.04307 2.96272 -0.4 -0.5 0.1 -0.615
O 4.40117 1.13024 3.63630 0.6 0.1 -0.5 -0.447
H 3.37661 -0.58564 3.27489 0.0 -0.1 0.0 -1.037
H 3.28634 0.53719 1.94585 0.0 0.5 0.2 -0.840
H 5.64208 0.25914 1.45507 -0.2 0.1 -0.2 0.835
H 4.83110 -1.21938 1.16692 -0.5 -0.5 0.5 0.263
H 6.85050 -1.22996 2.54884 0.0 0.0 0.0 0.335
H 5.35570 0.96988 3.67681 -0.1 0.2 0.4 0.449
C -2.23923 -2.59147 -1.85773 -0.4 0.2 -0.7 1.661
C -0.81730 -2.59991 -2.32705 1.9 0.8 1.3 2.077
O -0.61513 -1.60917 -3.31938 -1.8 0.2 -1.4 -0.562
O -3.10620 -3.24067 -2.79956 0.1 -0.2 0.2 -0.708
H -2.58532 -1.56129 -1.72701 0.9 -0.7 -0.1 -0.545
H -2.34654 -3.02937 -0.86677 0.0 -0.6 -0.2 -0.812
H -0.34967 -3.55310 -2.59682 -0.7 -0.3 -0.3 0.336
H -0.18024 -2.20102 -1.51337 -1.8 -2.1 -0.3 -1.409
H 0.26628 -1.31967 -3.53872 0.5 -0.4 0.3 0.056
H -2.98937 -2.75160 -3.62231 -0.1 -0.1 0.0 0.473
C 0.03338 -1.18222 0.25475 0.4 0.8 0.3 -0.547
C 1.11428 -0.96222 -0.77787 0.2 -0.5 -0.7 2.095
O 1.42660 0.40914 -0.95204 0.2 -0.1 0.2 1.100
O -1.17964 -0.59027 -0.23338 0.7 0.2 0.8 0.697
H 0.32904 -0.66147 1.17350 0.0 -0.3 0.2 -0.331
H -0.07931 -2.24925 0.44554 -0.4 0.1 0.1 -0.462
H 0.68469 -1.35105 -1.71076 1.1 1.7 0.2 -1.244
H 1.97225 -1.63605 -0.67202 0.1 0.5 0.7 -0.681
H 2.08818 0.67625 -0.30070 0.1 0.1 -0.1 -0.477
H -0.93103 0.34500 -0.22830 -0.5 0.0 -0.3 -0.197
C -3.31160 -6.94999 -0.54924 -0.8 0.3 0.9 -1.648
C -1.80280 -6.70407 -0.45996 -1.7 0.8 0.4 0.915
C -1.41290 -5.96999 0.82438 0.0 -0.7 0.2 -0.341
O -1.94784 -4.67383 0.85313 -0.2 0.5 -0.4 0.128
C -1.95066 -4.05968 2.11158 -0.4 0.9 1.2 -0.678
N -1.17824 -8.02302 -0.49042 1.0 0.3 -1.0 -0.756
H -3.95429 -6.17183 -0.12341 0.5 0.5 -0.2 0.320
H -3.60822 -7.78581 0.09186 0.3 -0.4 -0.4 0.456
H -3.65295 -7.07014 -1.57700 0.1 -0.3 0.0 0.383
H -1.61689 -5.99063 -1.27528 0.6 -0.3 -0.2 -0.027
H -0.31632 -5.92098 0.86419 0.0 -0.1 0.2 -0.261
H -1.78865 -6.52867 1.68994 0.2 -0.2 0.0 0.392
H -1.79650 -2.97782 2.06306 0.6 -0.1 -0.6 -0.209
*/
28 March, 1910
The Piobaireachd Society’s Publication
Sir,–In common with many others, I have been interested, and perhaps somewhat amused, by the letters which have appeared in your columns on the music just issued by the Piobaireachd Society. A little criticism is in itself a healthy thing; but, of course, its value to the public depends entirely on the knowledge and ability of the critic. I hold no brief for the Piobaireachd Society, who, I have no doubt, are well able to speak for themselves if they thought it of sufficient importance to do so; but it would be interesting to know on what grounds these gentlemen base their claims to criticize the work of a committee composed, I believe, of our best amateur piobaireachd players, aided by for the very best professional pipers of the day, and who have one and all given their time and money gratuitously to this work, and for mere love of the beautiful music of the Highlands.
In Mr. MacLennan we have an enthusiast, whose happy, if somewhat misplaced, belief in his own rendering of “the piobaireachd as played by MacCrimmon,” may be forgiven; while his undoubted love of the music must make him appreciated by even those who differ from his views. Still, all this does not render him a very competent or impartial critic.
“Padruig Og’s” lengthy letter might well be passed over in silence as a mass of inaccurate information.
I have it on the best authority that the Piobaireachd Society are collecting manuscript music, and this is a matter to which they intend to devote themselves. The meetings of the Society are held, not in London, as stated by “Padruig Og,” but at Oban, Inverness, and Perth. The judges at all the principal meetings are members of the Society, who are excellent pipers, and have a thorough knowledge of the tunes being played, and their decisions have never been questioned. To what obscure Society “Padruig Og” refers, and probably belongs, I have, of course, no idea, but I presume his letter is penned on its behalf.
In Dr. Bannateyne we have a critic of a different kind. To a great interest in pipe music he adds a knowledge of the theory of music, and some of his suggestions might well, I think, be adopted by the Piobaireachd Society.
In conclusion, I should like to ask these gentlemen to cooperate with the Society, which has done so much to awaken interest in pipe music and to establish the high position to which it is so justly entitled. While it is impossible for a Committee to take in every musical authority or enthusiast, I have little doubt that any useful suggestion made to their secretary would receive the careful attention of the Society, which so evidently desires, not to alienate, but to carry with it, all those who are genuine lovers of our Highland music.–I am, etc.,
**Unrelated to this entry: data records:**
~~~
--- 1 ---
{
  "formula": "C2H5N3OS",
  "method": "ωB97M-V/def2-TZVPD",
  "species": ["C", "C", "H", "H", "H", "H", "H", "N", "N", "N", "O", "S"],
  "coordinates": [[-0.33768, 0.31758, -0.42346], [0.80958, -2.74643, -0.06855], [0.18098, 2.19138, 1.30870], [0.36048, 3.13053, -0.22061], [-2.04088, 1.55333, -0.44929], [0.39910, -2.57592, -1.37447], [0.73693, -3.83384, 0.78674], [-0.40487, 2.69484, 0.46161], [-0.84476, 1.68766, -0.29782], [1.07378, -1.80133, 0.88336], [-1.06240, -0.60513, -0.81588], [1.12973, -0.01268, 0.20966]],
  "mulliken_charge": [0.608, -0.152, 0.263, 0.282, 0.271, 0.254, 0.267, -0.620, -0.138, -0.282, -0.576, -0.177],
  "e_homo_ev": -9.51,
  "gap_ev": 9.582,
  "lumo_energy_ev": 0.07
}

=====

--- 2 ---
{
  "formula": "C2H5N3OS",
  "method": "ωB97M-V/def2-TZVPD",
  "species": ["C", "C", "H", "H", "H", "H", "H", "N", "N", "N", "O", "S"],
  "coordinates": [[-0.21708, -0.51028, -0.31625], [1.92359, 0.47331, -0.96909], [-1.65178, 1.05769, 2.13042], [-3.31661, 0.20757, 1.09202], [-1.21614, -1.69956, 1.18337], [2.46521, 1.23336, -1.61685], [2.60197, 0.42586, -0.14156], [-2.00770, 0.42897, 1.08139], [-1.12555, -0.59286, 0.74801], [0.68244, -1.44691, -0.70360], [1.49416, -0.77427, -1.73692], [0.36750, 1.19713, -0.75094]],
  "mulliken_charge": [0.509, -0.253, 0.270, 0.300, 0.292, 0.260, 0.268, -0.686, -0.127, -0.479, -0.219, -0.136],
  "e_homo_ev": -8.73,
  "gap_ev": 8.887,
  "lumo_energy_ev": 0.16
}

=====

Need the numbers? Relative energies in kcal/mol: 1 0.0; 2 17.6.

=====

No. 1
Below is 2 unconnected molecules or ions with the total composition C12H17N in a non-equilibrium geometry, with properties calculated with the ωB97M-V functional and the def2-TZVPD basis.

## Properties
* maximum force: 5.14 eV/A
* ΔE to the lowest compared entry with this formula, charge and spin: 289.95 kJ/mol
* calculated total energy: -14207.3324 eV
* SMILES string: Cc1c[nH]c2ccccc12.CCC
* E_LUMO: 0.0313 hartree
* HOMO energy: -7.8855 eV

XYZ file:
```
30
Properties=species:S:1:pos:R:3:forces:R:3
C -0.02725 -1.27065 3.58826 1.5 0.8 -0.1
C -0.01141 -1.06494 2.10900 -1.3 1.4 -1.5
C 0.34808 0.05416 1.38104 -1.5 -1.3 -0.8
N -0.23873 0.05136 0.07808 0.0 -2.5 -1.0
C -0.80314 -1.25632 -0.15978 1.5 -1.3 3.3
C -0.89704 -2.05878 -1.28826 -1.8 0.8 1.8
C -1.48007 -3.32853 -1.25893 0.3 1.0 0.1
C -1.58759 -3.87213 -0.03714 0.5 -1.6 4.2
C -1.14733 -3.28410 1.28308 -0.9 1.2 -4.9
C -0.79910 -1.93850 1.18807 1.2 0.7 -1.4
H 0.35612 -2.28214 3.75664 -0.6 0.1 0.7
H -0.98291 -0.98229 4.01320 -0.5 -0.9 0.0
H 0.62459 -0.55220 4.12104 0.2 -0.4 -0.5
H 0.85860 0.96435 1.60191 0.3 0.2 0.7
H 0.26738 0.32833 -0.76213 0.1 0.6 0.7
H -0.90628 -1.67217 -2.21359 0.7 1.9 -3.3
H -1.86088 -3.82150 -2.17322 0.6 0.3 0.7
H -1.88278 -4.90612 -0.01624 -0.3 -0.3 0.3
H -1.00878 -3.87969 2.13657 -0.1 -0.6 1.0
C 2.13750 3.28965 -1.40465 3.4 -0.1 -0.7
C 0.98385 2.81776 -2.26616 -0.4 0.9 -0.7
C -0.17331 3.12859 -1.29475 1.2 0.9 -0.8
H 2.68655 2.41470 -0.91445 -0.5 1.4 -0.6
~~~
String of Lorn. [Major McDougall of Dunvegan]